• Activity:
What is needed: find "1.74" and "-3.30 -2.47" in the listing further down, and reproduce these two lines and those between.

• Material:
-- begin --
C6H8N2 | ωB97M-V/def2-TZVPD

```
! RIJCOSX wB97M-V def2-TZVPD def2/J DEFGRID3
* xyz 0 1
C 2.07 0.91 -1.45
C 1.14 1.95 -1.44
N 0.78 2.57 -0.31
C 1.37 2.13 0.81
N 2.27 1.14 0.92
C 2.61 0.54 -0.23
H 2.35 0.41 -2.39
H 0.67 2.30 -2.36
H 1.08 2.63 1.74
H 3.35 -0.27 -0.16
C -2.82 -2.73 0.25
C -3.08 -2.04 1.37
H -3.30 -2.47 -0.70
H -2.13 -3.58 0.26
H -3.77 -1.19 1.36
H -2.60 -2.31 2.32
*
```

Results
ΔE to the lowest compared entry with this formula, charge and spin: 25.5 kcal/mol
structure (SMILES): c1cncnc1.C=C
Kohn-Sham gap: 10.61 eV

Atom charges from the natural (NBO) analysis, given in e for atoms 1 to 8:
1 C -0.309
2 C 0.069
3 N -0.444
4 C 0.246
5 N -0.444
6 C 0.069
7 H 0.228
-- stop --

• Response:
H 1.08 2.63 1.74
H 3.35 -0.27 -0.16
C -2.82 -2.73 0.25
C -3.08 -2.04 1.37
H -3.30 -2.47 -0.70